_File_
<<<
Record 1
Formula: C5H3NO
Source: the OMol25 dataset
Level of theory: ωB97M-V with the def2-TZVPD basis set

Geometry (Å):
C1 -1.046 1.269 -1.635
C2 -0.725 0.575 -0.712
C3 -0.186 -0.213 0.353
C4 -0.547 -1.627 0.385
N1 -0.834 -2.745 0.397
C5 1.175 0.139 0.746
O1 0.020 0.345 1.622
H1 -1.371 1.875 -2.442
H2 1.875 -0.682 0.876
H3 1.639 1.065 0.411

HOMO, eV: -10.7
Orbital gap, eV: 11.496
Structure (SMILES): C#C[C@@]1(C#N)CO1

---

Record 2
Formula: C5H3NO
Source: the OMol25 dataset
Level of theory: ωB97M-V with the def2-TZVPD basis set

Geometry (Å):
C1 -0.297 0.092 1.195
C2 -1.186 -1.087 -0.943
C3 -0.226 1.038 0.333
C4 -0.895 -0.227 -0.126
C5 2.497 -0.401 -0.169
N1 2.696 0.543 -0.901
O1 2.779 -1.291 0.479
H1 0.001 -0.349 2.091
H2 -1.420 -1.708 -1.811
H3 1.958 1.005 -1.502

HOMO, eV: -9.7
Orbital gap, eV: 8.943

---

Record 3
Formula: C5H3NO
Source: the OMol25 dataset
Level of theory: ωB97M-V with the def2-TZVPD basis set

Geometry (Å):
N1 3.342 0.585 0.159
C1 2.228 0.275 0.234
C2 0.841 -0.031 0.181
C3 0.082 -0.365 -0.897
C4 -1.265 -0.171 -0.497
C5 -1.227 0.175 0.817
O1 0.051 0.275 1.246
H1 0.421 -0.715 -1.861
H2 -2.076 -0.109 -1.199
H3 -1.983 0.352 1.570

HOMO, eV: -9.5
Orbital gap, eV: 10.029
Structure (SMILES): N#Cc1ccco1

---

So what do the calculations give for max |F|? Going down the list: 1.18, 3.76, 1.14 eV Å⁻¹.

=====

Formula: C3H14N2O3
Source: the Open Molecules 2025 dataset
Level of theory: wB97M-V/def2-TZVPD

XYZ file:
```
22
Properties=species:S:1:pos:R:3:mulliken_charge:R:1
H -0.6265 -3.0264 -0.8806 0.1672
N -0.3293 -2.1019 -0.6263 -0.5887
C -0.5825 -1.8986 0.6115 -0.0215
N -0.1270 -0.7767 1.2471 -0.2468
C -0.9749 0.0229 2.1079 -0.3724
C -2.4246 0.1847 1.5825 -1.0916
H -1.1624 -2.5961 1.2135 0.3798
H 0.5013 -0.2701 0.6515 0.2071
H -0.4976 1.0024 2.1952 0.3057
H -1.0221 -0.2652 3.1625 0.2363
H -3.0446 -0.4649 2.1882 0.3280
H -2.5278 -0.0118 0.5239 0.3387
H -2.8141 1.1828 1.7364 0.3308
O 1.2200 -0.5985 -2.5083 -0.6825
H 0.4998 -0.9011 -1.9216 0.3631
H 2.0291 -0.8683 -2.0641 0.3186
O 2.5887 1.7213 -2.5513 -0.6247
H 2.3806 0.9813 -3.1415 0.3276
H 3.5374 1.8659 -2.6389 0.3009
O 1.2552 2.2242 0.0906 -0.6346
H 0.6779 2.9035 -0.2806 0.3115
H 1.4432 1.6905 -0.6975 0.3476
```

SMILES: [H]/N=C/NCC.O.O.O
2S+1: 1
LUMO, hartree: 0.0341
HOMO energy, eV: -9.246
Orbital gap, eV: 10.17
M, g/mol: 126.16

Formula: C22H20Cl3N2ORuS2
Source: the Open Molecules 2025 dataset
Level of theory: wB97M-V/def2-TZVPD

XYZ file:
```
51
Properties=species:S:1:pos:R:3:mulliken_charge:R:1
Ru 0.4413 -0.5367 -0.0313 0.2710
C 2.1835 2.0175 0.5455 -1.1526
N 0.9911 1.3370 1.1107 1.1661
C -0.2223 2.1644 0.8677 -0.9633
C -1.4549 1.3184 1.0870 -0.9389
N -1.5339 0.2876 0.0167 1.0485
C -2.5094 -0.7660 0.3942 -1.2097
C -1.9303 0.9111 -1.2610 -0.4711
C -3.2413 1.3462 -1.4310 -0.6696
C -3.6336 1.9410 -2.6164 -0.8766
C -2.7074 2.1050 -3.6388 -0.5632
C -1.4027 1.6884 -3.4686 -0.6810
C -0.9897 1.0889 -2.2744 1.2352
S 0.6809 0.6020 -2.0670 -0.3946
C 1.1766 1.1456 2.5583 -0.4563
C 1.6083 2.2113 3.3459 -0.6688
C 1.7860 2.0551 4.7072 -0.8958
C 1.5259 0.8190 5.2901 -0.5177
C 1.0888 -0.2357 4.5172 -0.6781
C 0.9021 -0.0908 3.1356 1.1125
S 0.3064 -1.4321 2.1951 -0.4726
H 2.1680 3.0853 0.7763 0.3839
H 2.1951 1.8997 -0.5341 0.1993
H 3.0761 1.5768 0.9830 0.3835
H -0.1787 2.5050 -0.1695 0.5593
H -0.2276 3.0422 1.5190 0.4851
H -2.3606 1.9299 1.0967 0.4221
H -1.3837 0.7845 2.0378 0.6418
H -3.4397 -0.3195 0.7508 0.4971
H -2.0834 -1.3745 1.1881 0.2638
H -2.7056 -1.3791 -0.4810 0.3402
H -3.9621 1.2165 -0.6355 0.3066
H -4.6560 2.2704 -2.7437 0.4059
H -3.0075 2.5609 -4.5735 0.3845
H -0.6766 1.8172 -4.2609 0.4430
H 1.8108 3.1723 2.8919 0.2761
H 2.1261 2.8873 5.3084 0.3971
H 1.6668 0.6812 6.3544 0.3828
H 0.8819 -1.1983 4.9664 0.4345
Cl 3.4303 -5.7338 -3.7518 -0.2240
C 2.3565 -4.6386 -2.9409 0.4862
C 2.8713 -3.7108 -2.0551 -0.9553
C 1.9840 -2.8584 -1.4302 1.2652
Cl 2.5913 -1.6702 -0.2859 -0.1963
C 0.5964 -2.8880 -1.6235 -0.7762
O -0.2431 -2.0878 -1.0051 -0.3510
>>>
_Wanted_
Find "eV: 10.17" and "-1.4310 -0.6696" in the lines further above, and return these two lines and those between.
_Reply_
Orbital gap, eV: 10.17
M, g/mol: 126.16

Formula: C22H20Cl3N2ORuS2
Source: the Open Molecules 2025 dataset
Level of theory: wB97M-V/def2-TZVPD

XYZ file:
```
51
Properties=species:S:1:pos:R:3:mulliken_charge:R:1
Ru 0.4413 -0.5367 -0.0313 0.2710
C 2.1835 2.0175 0.5455 -1.1526
N 0.9911 1.3370 1.1107 1.1661
C -0.2223 2.1644 0.8677 -0.9633
C -1.4549 1.3184 1.0870 -0.9389
N -1.5339 0.2876 0.0167 1.0485
C -2.5094 -0.7660 0.3942 -1.2097
C -1.9303 0.9111 -1.2610 -0.4711
C -3.2413 1.3462 -1.4310 -0.6696